
Best Value Pavers vs Concrete vs Decking

What is the best value for your patio?

Inserted here: materials data:
=====
#w
# NaAsCl4 (GGA-PBE, optimized geometry)
# **Calculated density**: 2.137 g/cm3
# **Total moment**: 0.00 μB/atom
data_NaAsCl4
_cell_length_a 4.2452
_cell_length_b 6.6334
_cell_length_c 7.0222
_cell_angle_alpha 84.09
_cell_angle_beta 89.99
_cell_angle_gamma 71.34
_space_group_name_H-M_alt 'P 1'
_space_group_IT_number 1
loop_
_space_group_symop_operation_xyz
'x,y,z'
loop_
_atom_site_label
_atom_site_type_symbol
_atom_site_fract_x
_atom_site_fract_y
_atom_site_fract_z
Na1 Na 0.0000 0.0000 0.0000
As1 As 0.4610 0.0009 0.4997
Cl1 Cl 0.9999 0.2380 0.6041
Cl2 Cl 0.2374 0.7636 0.3953
Cl3 Cl 0.3923 0.2051 0.1748
Cl4 Cl 0.5963 0.7963 0.8246


#x
# NaAsCl4 (GGA-PBE, optimized geometry)
# **Calculated density**: 2.224 g/cm3
# **Total moment**: 0.00 μB/atom
data_NaAsCl4
_cell_length_a 8.1519
_cell_length_b 16.3715
_cell_length_c 6.6800
_cell_angle_alpha 90.00
_cell_angle_beta 126.59
_cell_angle_gamma 90.00
_space_group_name_H-M_alt 'C 1 2/c 1'
_space_group_IT_number 15
loop_
_space_group_symop_operation_xyz
'x,y,z'
'-x,-y,-z'
'-x,y,-z+1/2'
'x,-y,z+1/2'
'x+1/2,y+1/2,z'
'-x+1/2,-y+1/2,-z'
'-x+1/2,y+1/2,-z+1/2'
'x+1/2,-y+1/2,z+1/2'
loop_
_atom_site_label
_atom_site_type_symbol
_atom_site_fract_x
_atom_site_fract_y
_atom_site_fract_z
Na1 Na 0.0000 0.0740 0.2500
As1 As 0.0000 0.4246 0.7500
Cl1 Cl 0.1950 0.3304 0.7331
Cl2 Cl 0.2483 0.4458 0.2213


Least stable structure: #w


#w
# NaAsCl2 (GGA-PBE, optimized geometry)
# **Calculated density**: 2.943 g/cm3
# **Total moment**: 0.00 μB/atom
data_NaAsCl2
_cell_length_a 3.6177
_cell_length_b 3.6177
_cell_length_c 25.2138
_cell_angle_alpha 90.00
_cell_angle_beta 90.00
_cell_angle_gamma 120.00
_space_group_name_H-M_alt 'R -3 m'
_space_group_IT_number 166
_space_group_name_Hall '-R 3 2"'
loop_
_atom_site_label
_atom_site_type_symbol
_atom_site_fract_x
_atom_site_fract_y
_atom_site_fract_z
Na1 Na 0.0000 0.0000 0.0000
As1 As 0.0000 0.0000 0.5000
Cl1 Cl 0.0000 0.0000 0.4021


#x
# NaAsCl2 (GGA-PBE, optimized geometry)
# **Calculated density**: 2.902 g/cm3
# **Total moment**: 0.00 μB/atom
data_NaAsCl2
_cell_length_a 3.4401
_cell_length_b 3.4401
_cell_length_c 28.2758
_cell_angle_alpha 90.00
_cell_angle_beta 90.00
_cell_angle_gamma 120.00
_space_group_name_H-M_alt 'R -3 m'
_space_group_IT_number 166
_space_group_name_Hall '-R 3 2"'
loop_
_atom_site_label
_atom_site_type_symbol
_atom_site_fract_x
_atom_site_fract_y
_atom_site_fract_z
Na1 Na 0.0000 0.0000 0.0000
As1 As 0.0000 0.0000 0.5000
Cl1 Cl 0.0000 0.0000 0.0877


Least stable structure: #x


#w
# Na2AsCl5 (GGA-PBE, optimized geometry)
# **Calculated density**: 1.478 g/cm3
# **Total moment**: 0.00 μB/atom
data_Na2AsCl5
_cell_length_a 13.3192
_cell_length_b 7.7040
_cell_length_c 7.7021
_cell_angle_alpha 90.00
_cell_angle_beta 122.04
_cell_angle_gamma 90.00
_space_group_name_H-M_alt 'C 1 m 1'
_space_group_IT_number 8
loop_
_space_group_symop_operation_xyz
'x,y,z'
'x,-y,z'
'x+1/2,y+1/2,z'
'x+1/2,-y+1/2,z'
loop_
_atom_site_label
_atom_site_type_symbol
_atom_site_fract_x
=====

Are you looking to install a new patio? Or are you looking to replace an existing patio or deck that has come to the end of its serviceable life span? If so, you are in good company. A patio is a versatile amenity that has become much more popular in recent years. A properly designed and installed patio can give you enjoyment throughout the year and add value to your property that can increase curb appeal and ultimately increase value of your home. It’s difficult to know where to start when it’s time to take on a patio project. Hopefully, this article will help you compare several types of patios and select the type best suited to your application.

**Inserted here: calculated crystals:**
┌──
## one
DFT (GGA-PBE) results for a relaxed Li4Pr3Tl4 crystal.

It has space group P-1 (No. 2), with a = 3.582 Å, b = 5.017 Å, c = 15.925 Å, α = 81.00°, β = 83.55° and γ = 90.00°. Symmetry generates all atoms from Li at (0.092, 0.093, 0.313), Li at (0.240, 0.740, 0.018), Pr at (0.357, 0.357, 0.787), Pr at (0.500, 0.000, 0.500), Tl at (0.051, 0.551, 0.398) and Tl at (0.186, 0.185, 0.128).

The calculation puts the theoretical density at 7.50 Mg/m³. The value obtained for the calculated volume is 25.53 A^3/atom. Its crystal system is triclinic.

## two
DFT (GGA-PBE) results for a relaxed Li4Pr3Tl4 crystal.

It has space group Immm (No. 71), with a = 4.850 Å, b = 7.519 Å, c = 15.285 Å, α = 90.00°, β = 90.00° and γ = 90.00°. Symmetry generates all atoms from Li at (0.000, 0.185, 0.175), Pr at (0.000, 0.000, 0.378), Pr at (0.000, 0.500, 0.500), Tl at (0.000, 0.293, 0.000) and Tl at (0.000, 0.500, 0.280).

The calculation puts the theoretical density at 7.55 Mg/m³. The value obtained for the calculated volume is 25.34 A^3/atom. Its crystal system is orthorhombic.

Which structure is most stable, and how do the rest compare? From most to least stable: one, two.

## one
DFT (GGA-PBE) results for a relaxed LiPrTm2 crystal.

It has space group P4/mmm (No. 123), with a = 5.643 Å, b = 5.643 Å, c = 3.710 Å, α = 90.00°, β = 90.00° and γ = 90.00°. Symmetry generates all atoms from Li at (0.000, 0.000, 0.000), Pr at (0.500, 0.500, 0.000) and Tm at (0.000, 0.500, 0.500).

The calculation puts the theoretical density at 6.83 Mg/m³. The value obtained for the calculated volume is 29.53 A^3/atom. Its crystal system is tetragonal.

## two
DFT (GGA-PBE) results for a relaxed LiPrTm2 crystal.

It has space group P4/mmm (No. 123), with a = 3.648 Å, b = 3.648 Å, c = 8.670 Å, α = 90.00°, β = 90.00° and γ = 90.00°. Symmetry generates all atoms from Li at (0.000, 0.000, 0.000), Pr at (0.000, 0.000, 0.500) and Tm at (0.500, 0.500, 0.213).

The calculation puts the theoretical density at 6.99 Mg/m³. The value obtained for the calculated volume is 28.85 A^3/atom. Its crystal system is tetragonal.

## three
DFT (GGA-PBE) results for a relaxed LiPrTm2 crystal.

It has space group R-3m (No. 166, hexagonal axes), with a = 3.4782 Å, b = 3.4782 Å, c = 36.3098 Å, α = 90.00°, β = 90.00° and γ = 120.00°. Symmetry generates all atoms from Li at (0.0000, 0.0000, 0.0000), Pr at (0.0000, 0.0000, 0.5000) and Tm at (0.0000, 0.0000, 0.0876).

The calculation puts the theoretical density at 6.36 Mg/m³. The value obtained for the calculated volume is 31.70 A^3/atom. Its crystal system is trigonal.

Which structure is most stable, and how do the rest compare? From most to least stable: two, one, three.

## one
DFT (GGA-PBE) results for a relaxed LiPr2Tm crystal.
└──

Mega Arbel Paver Patio by Breaking Ground

The first key to any successful construction or renovation project is having a good plan in place. In the case of a patio, this means having a good design (drawing(s)) and construction management plan. Some may choose to do some or all of this work themselves, if they have the skill and the time. This requires a clear understanding of their real ability and realistic evaluation of the time commitment involved. There certainly are those who can take on these projects and come through the project quite successfully. However, if you haven’t taken on a project like this previously, be forewarned. Rarely, will a first project go as easily as planned. If experience and time factors cause you to look to professionals for their expertise, you should be able to find qualified, competent help to create a project that will give you years of enjoyment.
As with any professional service, there is a cost involved in getting a well thought out design, and an experienced, thorough crew to implement the design. However, the cost of cutting corners in either design or installation will prove to be much higher. A Landscape Designer can help you to create a budget, work through functional priorities, select materials and design style, as well as help you phase in a larger master plan to keep the totality of the design cohesive. A Landscape Designer can also manage the installation of your project from beginning through to completion and beyond.

Modern landscape entry landing with Home Run Roses.

A primary consideration in the design of your patio is going to be the method of construction and material type. There are a number of types of patio construction and an unlimited number of variations and combinations, but for simple comparison purposes, the three we will cover are; Wood decking, poured concrete, and pavers. Whether you are installing the project yourself or enlisting professional help, selecting the right type of patio is critical to the success of your project.
So, what is the best type of patio?


From least expensive to most expensive, initial cost in Omaha metro area. (Averages for Qualified Reputable Contractors)
Concrete- $6-$18 per square foot. (Stamped and colored concrete = higher $)
Wood Decking-$15-$35 per square foot. (Composite decking = higher $)
Concrete Pavers-$20-$35 per square foot. (Intricate patterns and limited access projects = higher $)
Note: Local suppliers will sell materials for all three types of patios at a fraction of these costs; however the cost of installing any patio is much more dependent on the amount of labor required than the cost of material. Generally speaking, poured concrete is the quickest and therefore least labor intensive method, thus in its simplest form, it is the least expensive.
Winner… Concrete

Lifecycle Cost

Here is the real hidden cost difference of the various methods of patio construction. The cost of maintenance as well as longevity criteria factor in to this discussion.
Concrete, depending on the attention to detail, can last several decades; however, regardless of the quality of the installation, concrete will crack when subjected to Omaha’s freeze/thaw cycle. It will require minimal maintenance during its life, however, making it an excellent value for short-term investment, for example renovating a home for resale or rental.

Cedar Deck

Wood decks are the most maintenance-intensive type of patio. Pressure treated lumber with composite decking has the longest life span and the least maintenance required in this category. Realistically, if kept clean and regularly inspected and repaired as needed, a deck can last 30 years or more before needing partial or total replacement. A natural wood deck will require more frequent cleaning and sealing and will usually have a shorter life span than a composite deck.
The paver patio shines in this category. However, that is only if it is installed correctly. The pavers used to build the patio are only a small part of the total patio system. A properly built paver patio is constructed through a series of precise steps including; compacted aggregate, bedding sand, pavers and joint material. Concrete pavers are manufactured in a factory of much denser concrete than what is used in a poured application. Because of this, the concrete in a paver is not as susceptible to absorption of moisture, thus the individual paver is unlikely to crack due to freeze/thaw cycles. A paver patio also has a multitude of control joints to almost completely eliminate the opportunity for surface cracking, unlike poured concrete. Maintenance required includes cleaning (similar to poured concrete) and occasional addition of joint material (every 3-4 years). The lifespan of a paver patio can be 50 years or more. Consequently, some contractors offer a lifetime warranty on paver patios.
Winner… Pavers


With the variety of products available, as well as the creativity of landscape designers, in the aesthetic appeal category, a case can be made for the beauty of any of the three types of patios discussed. The internet is filled with spectacular photos of decking, concrete, and pavers and combinations of all three. The warm appeal of a wooden deck, the fluid nature of poured concrete, the textural quality and historical reference of pavers, all have design merit and appropriate uses in the landscape design.
Winner… Draw
Other Considerations
In some applications, the choice of patio type is dictated by site considerations. A raised concrete or paver patio is a good solution if the height of the patio is 3 foot tall or less. However, a patio that is a full story off of grade lends itself to a wooden deck. A tight lot that is already at its maximum allowable paved area due to building code may lend itself to a permeable paver patio to mitigate this requirement. A patio may receive occasional vehicular access, eliminating the possibility of using wood or composite decking. An underground utility may be present that could need future access; poured concrete could only be broken out and replaced if access was required. Both decking and pavers could be removed and replaced seamlessly, if necessary.
Winner… Draw


If you are looking to install a patio, do a thorough evaluation of your priorities. Consider your budget for installation as well as maintenance and replacement. What are the aesthetic and functional considerations involved? What type of patio best fulfills my requirements and priorities? These criteria will help you determine what type of patio best suits your application. If you are having difficulty working through this process, a Landscape Designer is a valuable resource to help guide you to the best patio solution for your project.
